[To do]
Search the contents below for the word "DFT" and quote each line that has it, please.
[File]
<<<
1.
# LaMgB5O10, relaxed, DFT PBE
# Size of the total moment (μB per atom): 0.000
# V (Å³ per atom): 9.58
# Energy of formation (kcal/mol of atoms): -71.82
data_LaMgB5O10
_chemical_formula_sum 'La4 Mg4 B20 O40'
_space_group_name_H-M_alt 'P 1 21/c 1'
_space_group_IT_number 14
_space_group_name_Hall '-P 2ybc'
_cell_length_a 8.8987
_cell_length_b 7.6764
_cell_length_c 12.7965
_cell_angle_alpha 90.00
_cell_angle_beta 131.82
_cell_angle_gamma 90.00
loop_
_atom_site_label
_atom_site_type_symbol
_atom_site_fract_x
_atom_site_fract_y
_atom_site_fract_z
La1 La 0.0505 0.1894 0.2352
Mg1 Mg 0.4885 0.5873 0.8790
B1 B 0.0983 0.6706 0.6109
B2 B 0.1586 0.5941 0.0091
B3 B 0.2687 0.0330 0.0520
B4 B 0.3575 0.5844 0.2692
B5 B 0.4875 0.1849 0.9154
O1 O 0.0317 0.7213 0.9915
O2 O 0.0808 0.1040 0.9138
O3 O 0.1218 0.5356 0.8936
O4 O 0.2182 0.7231 0.2421
O5 O 0.2336 0.5233 0.6454
O6 O 0.3182 0.6269 0.5099
O7 O 0.3230 0.5366 0.1410
O8 O 0.3265 0.0778 0.8153
O9 O 0.4374 0.1551 0.1245
O10 O 0.4375 0.1531 0.4307

2.
# Ba2TbBiO6, relaxed, DFT PBE
# Size of the total moment (μB per atom): 0.000
# V (Å³ per atom): 16.61
# Energy of formation (kcal/mol of atoms): -65.19
data_Ba2TbBiO6
_chemical_formula_sum 'Ba4 Tb2 Bi2 O12'
_space_group_name_H-M_alt 'C 1 2/m 1'
_space_group_IT_number 12
_space_group_name_Hall '-C 2y'
_cell_length_a 10.6680
_cell_length_b 6.1652
_cell_length_c 6.1909
_cell_angle_alpha 90.00
_cell_angle_beta 125.33
_cell_angle_gamma 90.00
loop_
_atom_site_label
_atom_site_type_symbol
_atom_site_fract_x
_atom_site_fract_y
_atom_site_fract_z
Ba1 Ba 0.2490 0.0000 0.2459
Tb1 Tb 0.0000 0.0000 0.5000
Bi1 Bi 0.0000 0.5000 0.0000
O1 O 0.0283 0.2556 0.7855
O2 O 0.2431 0.5000 0.2964

no.,MP2020-corrected energy (eV per atom)
1,-8.374
2,-7.032

----------

{
  "formula": "NaTaTiSiP2O12",
  "functional": "PBE",
  "state": "relaxed",
  "total_energy_ha_per_atom": -0.29367,
  "formation_enthalpy_0k_kj_per_mol_atoms": -297,
  "volume_a3_per_atom": 13.85,
  "lattice_angstrom": [[7.5501, -4.3673, 0.0000], [7.5501, 4.3673, 0.0000], [-0.1103, 0.0000, 22.6859]],
  "species": ["Na", "Na", "Na", "Na", "Na", "Na", "Ta", "Ta", "Ta", "Ta", "Ta", "Ta", "Ti", "Ti", "Ti", "Ti", "Ti", "Ti", "Si", "Si", "Si", "Si", "Si", "Si", "P", "P", "P", "P", "P", "P", "P", "P", "P", "P", "P", "P", "O", "O", "O", "O", "O", "O", "O", "O", "O", "O", "O", "O", "O", "O", "O", "O", "O", "O", "O", "O", "O", "O", "O", "O", "O", "O", "O", "O", "O", "O", "O", "O", "O", "O", "O", "O", "O", "O", "O", "O", "O", "O", "O", "O", "O", "O", "O", "O", "O", "O", "O", "O", "O", "O", "O", "O", "O", "O", "O", "O", "O", "O", "O", "O", "O", "O", "O", "O", "O", "O", "O", "O"],
>>>
[Result]
# LaMgB5O10, relaxed, DFT PBE
# Ba2TbBiO6, relaxed, DFT PBE